• Contents:
~~~
HfZnPd: calculated powder diffractogram (Cu Ka), based on DFT lattice parameters and positions (PBE).
No peak broadening, texture or thermal motion is included.

Top 10 peaks for 5 to 70 degrees two-theta, low angle first:
d [Å]  I (rel.)
3.957  10
3.898  22
2.303  54
2.291  100
2.273  89
2.240  43
1.949  3
1.622  16
1.606  35
1.416  10

Crystal structure
Cell lengths 4.479, 5.663, 7.914 Å; angles 90.00, 90.00, 90.00 degrees
Fractional positions:
Hf1 0.000 0.247 0.000
Hf2 0.000 0.753 0.000
Hf3 0.500 0.253 0.500
Hf4 0.500 0.747 0.500
Zn1 0.000 0.000 0.338
Zn2 0.000 0.000 0.662
Zn3 0.500 0.500 0.162
Zn4 0.500 0.500 0.838
Pd1 0.000 0.500 0.326
Pd2 0.000 0.500 0.674
Pd3 0.500 0.000 0.174
Pd4 0.500 0.000 0.826

~~~~~

For KFe2CCl, DFT lattice parameters and positions (GGA-PBE) gives the simulated powder X-ray diffraction pattern in this record (Cu Kα (weighted mean of Kα1 and Kα2)).

Cell and atoms:
a = 3.8403 Å, b = 3.8403 Å, c = 7.5728 Å
α = 90.00°, β = 90.00°, γ = 90.00°
Atoms (fractional coordinates):
K 0.0000 0.0000 0.0000
Fe 0.0000 0.5000 0.5000
Fe 0.5000 0.0000 0.5000
C 0.0000 0.0000 0.5000
Cl 0.5000 0.5000 0.0000

Peak list (12 most intense, 10 to 90 degrees two-theta, by angle)
two_theta  d_spacing  I (rel.)  hkl
11.7  7.573  29  0 0 1
23.5  3.786  95  0 0 2
35.1  2.556  100  1 1 1
47.3  1.920  24  2 0 0
48.1  1.893  12  0 0 4
49.3  1.849  35  1 1 3
53.5  1.713  33  2 0 2
69.8  1.348  13  2 0 4
71.3  1.323  11  1 1 5
74.2  1.278  11  2 2 2
80.0  1.199  15  3 1 1
89.6  1.094  11  3 1 3



For CaLa4Pm7, DFT lattice parameters and positions (GGA-PBE) gives the simulated powder X-ray diffraction pattern in this record (Cu Kα (weighted mean of Kα1 and Kα2)).

Cell and atoms:
a = 6.4563 Å, b = 7.4130 Å, c = 9.2729 Å
α = 89.73°, β = 76.46°, γ = 89.96°
Atoms (fractional coordinates):
Ca 0.0000 0.0000 0.0000
La 0.2182 0.5007 0.3266
La 0.2859 0.2548 0.6651
La 0.7141 0.7452 0.3349
La 0.7818 0.4993 0.6734
Pm 0.0000 0.5000 0.0000
Pm 0.2246 0.0003 0.3391
Pm 0.2823 0.7474 0.6683
Pm 0.4985 0.7465 0.9993
Pm 0.5015 0.2535 0.0007
Pm 0.7177 0.2526 0.3317
Pm 0.7754 0.9997 0.6609

Peak list (12 most intense, 10 to 90 degrees two-theta, by angle)
two_theta  d_spacing  I (rel.)  hkl
28.0  3.192  36  1 2 0
28.5  3.135  23  1 2 1
29.7  3.005  81  0 0 3
30.7  2.916  54  2 0 2
30.8  2.902  100  -1 2 1
32.3  2.770  91  2 0 -1
32.4  2.759  43  1 -2 2
48.9  1.861  40  3 -2 1
49.2  1.853  20  0 4 0
52.3  1.750  24  2 0 5
55.5  1.655  19  2 0 -4
58.3  1.582  35  -3 2 2



Repeat the second record exactly.
For CaLa4Pm7, DFT lattice parameters and positions (GGA-PBE) gives the simulated powder X-ray diffraction pattern in this record (Cu Kα (weighted mean of Kα1 and Kα2)).

Cell and atoms:
a = 6.4563 Å, b = 7.4130 Å, c = 9.2729 Å
α = 89.73°, β = 76.46°, γ = 89.96°
Atoms (fractional coordinates):
Ca 0.0000 0.0000 0.0000
La 0.2182 0.5007 0.3266
La 0.2859 0.2548 0.6651
La 0.7141 0.7452 0.3349
La 0.7818 0.4993 0.6734
Pm 0.0000 0.5000 0.0000
Pm 0.2246 0.0003 0.3391
Pm 0.2823 0.7474 0.6683
Pm 0.4985 0.7465 0.9993
Pm 0.5015 0.2535 0.0007
Pm 0.7177 0.2526 0.3317
Pm 0.7754 0.9997 0.6609

Peak list (12 most intense, 10 to 90 degrees two-theta, by angle)
two_theta  d_spacing  I (rel.)  hkl
28.0  3.192  36  1 2 0
28.5  3.135  23  1 2 1
29.7  3.005  81  0 0 3
30.7  2.916  54  2 0 2
30.8  2.902  100  -1 2 1
32.3  2.770  91  2 0 -1
32.4  2.759  43  1 -2 2
48.9  1.861  40  3 -2 1
49.2  1.853  20  0 4 0
52.3  1.750  24  2 0 5
55.5  1.655  19  2 0 -4
58.3  1.582  35  -3 2 2

~~~~~

Starting from DFT lattice parameters and positions (GGA-PBE), the powder X-ray diffraction pattern of Pm4Nd3Au4 was calculated for CuKα.
Lines closer than 0.1° are merged.

Peak list (12 most intense, 10 to 90 degrees two-theta, sorted by position)
| hkl | 2θ/deg | Rel. int. |
| --- | --- | --- |
| 0 1 3 | 19.97 | 141 |
| 1 2 1 | 29.64 | 1000 |
| 0 1 5 | 29.78 | 260 |
| 1 1 4 | 30.61 | 418 |
| 0 0 6 | 33.05 | 175 |
| 1 2 3 | 33.58 | 183 |
| 2 0 0 | 36.00 | 458 |
| 1 2 5 | 40.43 | 317 |
~~~
• Wanted:
Return everything further up exactly, please.
• Written answer:
HfZnPd: calculated powder diffractogram (Cu Ka), based on DFT lattice parameters and positions (PBE).
No peak broadening, texture or thermal motion is included.

Top 10 peaks for 5 to 70 degrees two-theta, low angle first:
d [Å]  I (rel.)
3.957  10
3.898  22
2.303  54
2.291  100
2.273  89
2.240  43
1.949  3
1.622  16
1.606  35
1.416  10

Crystal structure
Cell lengths 4.479, 5.663, 7.914 Å; angles 90.00, 90.00, 90.00 degrees
Fractional positions:
Hf1 0.000 0.247 0.000
Hf2 0.000 0.753 0.000
Hf3 0.500 0.253 0.500
Hf4 0.500 0.747 0.500
Zn1 0.000 0.000 0.338
Zn2 0.000 0.000 0.662
Zn3 0.500 0.500 0.162
Zn4 0.500 0.500 0.838
Pd1 0.000 0.500 0.326
Pd2 0.000 0.500 0.674
Pd3 0.500 0.000 0.174
Pd4 0.500 0.000 0.826

~~~~~

For KFe2CCl, DFT lattice parameters and positions (GGA-PBE) gives the simulated powder X-ray diffraction pattern in this record (Cu Kα (weighted mean of Kα1 and Kα2)).

Cell and atoms:
a = 3.8403 Å, b = 3.8403 Å, c = 7.5728 Å
α = 90.00°, β = 90.00°, γ = 90.00°
Atoms (fractional coordinates):
K 0.0000 0.0000 0.0000
Fe 0.0000 0.5000 0.5000
Fe 0.5000 0.0000 0.5000
C 0.0000 0.0000 0.5000
Cl 0.5000 0.5000 0.0000

Peak list (12 most intense, 10 to 90 degrees two-theta, by angle)
two_theta  d_spacing  I (rel.)  hkl
11.7  7.573  29  0 0 1
23.5  3.786  95  0 0 2
35.1  2.556  100  1 1 1
47.3  1.920  24  2 0 0
48.1  1.893  12  0 0 4
49.3  1.849  35  1 1 3
53.5  1.713  33  2 0 2
69.8  1.348  13  2 0 4
71.3  1.323  11  1 1 5
74.2  1.278  11  2 2 2
80.0  1.199  15  3 1 1
89.6  1.094  11  3 1 3



For CaLa4Pm7, DFT lattice parameters and positions (GGA-PBE) gives the simulated powder X-ray diffraction pattern in this record (Cu Kα (weighted mean of Kα1 and Kα2)).

Cell and atoms:
a = 6.4563 Å, b = 7.4130 Å, c = 9.2729 Å
α = 89.73°, β = 76.46°, γ = 89.96°
Atoms (fractional coordinates):
Ca 0.0000 0.0000 0.0000
La 0.2182 0.5007 0.3266
La 0.2859 0.2548 0.6651
La 0.7141 0.7452 0.3349
La 0.7818 0.4993 0.6734
Pm 0.0000 0.5000 0.0000
Pm 0.2246 0.0003 0.3391
Pm 0.2823 0.7474 0.6683
Pm 0.4985 0.7465 0.9993
Pm 0.5015 0.2535 0.0007
Pm 0.7177 0.2526 0.3317
Pm 0.7754 0.9997 0.6609

Peak list (12 most intense, 10 to 90 degrees two-theta, by angle)
two_theta  d_spacing  I (rel.)  hkl
28.0  3.192  36  1 2 0
28.5  3.135  23  1 2 1
29.7  3.005  81  0 0 3
30.7  2.916  54  2 0 2
30.8  2.902  100  -1 2 1
32.3  2.770  91  2 0 -1
32.4  2.759  43  1 -2 2
48.9  1.861  40  3 -2 1
49.2  1.853  20  0 4 0
52.3  1.750  24  2 0 5
55.5  1.655  19  2 0 -4
58.3  1.582  35  -3 2 2



Repeat the second record exactly.
For CaLa4Pm7, DFT lattice parameters and positions (GGA-PBE) gives the simulated powder X-ray diffraction pattern in this record (Cu Kα (weighted mean of Kα1 and Kα2)).

Cell and atoms:
a = 6.4563 Å, b = 7.4130 Å, c = 9.2729 Å
α = 89.73°, β = 76.46°, γ = 89.96°
Atoms (fractional coordinates):
Ca 0.0000 0.0000 0.0000
La 0.2182 0.5007 0.3266
La 0.2859 0.2548 0.6651
La 0.7141 0.7452 0.3349
La 0.7818 0.4993 0.6734
Pm 0.0000 0.5000 0.0000
Pm 0.2246 0.0003 0.3391
Pm 0.2823 0.7474 0.6683
Pm 0.4985 0.7465 0.9993
Pm 0.5015 0.2535 0.0007
Pm 0.7177 0.2526 0.3317
Pm 0.7754 0.9997 0.6609

Peak list (12 most intense, 10 to 90 degrees two-theta, by angle)
two_theta  d_spacing  I (rel.)  hkl
28.0  3.192  36  1 2 0
28.5  3.135  23  1 2 1
29.7  3.005  81  0 0 3
30.7  2.916  54  2 0 2
30.8  2.902  100  -1 2 1
32.3  2.770  91  2 0 -1
32.4  2.759  43  1 -2 2
48.9  1.861  40  3 -2 1
49.2  1.853  20  0 4 0
52.3  1.750  24  2 0 5
55.5  1.655  19  2 0 -4
58.3  1.582  35  -3 2 2

~~~~~

Starting from DFT lattice parameters and positions (GGA-PBE), the powder X-ray diffraction pattern of Pm4Nd3Au4 was calculated for CuKα.
Lines closer than 0.1° are merged.

Peak list (12 most intense, 10 to 90 degrees two-theta, sorted by position)
| hkl | 2θ/deg | Rel. int. |
| --- | --- | --- |
| 0 1 3 | 19.97 | 141 |
| 1 2 1 | 29.64 | 1000 |
| 0 1 5 | 29.78 | 260 |
| 1 1 4 | 30.61 | 418 |
| 0 0 6 | 33.05 | 175 |
| 1 2 3 | 33.58 | 183 |
| 2 0 0 | 36.00 | 458 |
| 1 2 5 | 40.43 | 317 |